Ramsey Nasr
The High Impact: Literature from the Low Countries evening at the Tabernacle in Notting Hill, West London W11 last Saturday was a rousing finale to the six-day UK tour of Dutch-writing authors from the Netherlands and Belgium. The tour had kicked off in Oxford, and then moved to Birmingham, Liverpool, Sheffield, and Norwich before ending up in London for a packed-out Gala Gathering at the Tabernacle.
I had been particularly drawn to the event by the presence on the programme of the fine Palestinian-Dutch poet, actor and director Ramsey Nasr. The poet was born in Rotterdam in 1974 to a Dutch mother and a father originally from the West Bank village of Salfit. For the past four years he has been the Netherlands poet laureate - a position which, unlike its British counterpart, is decided by a public vote.
I had previously seen and blogged on Nasr when he appeared at the London Review Bookshop in London in June 2011 in conversation with poet Ruth Padel. That event marked the launch of the first-ever selection of Nasr’s work in English translation: Heavenly Life: Selected Poems. The anthology was translated by prizewinning Australian translator David Colmer and published by Banipal Books, with a foreword by Padel. (The book was reviewed in Banipal magazine by Norbert Hirschhorn.) The London Review Bookshop published Nasr’s then latest poem the house of europe in a limited four-page edition of 250 signed copies, in Dutch and in Colmer's English translation. Banipal issue 35 had as its cover story a special feature showcasing the work of Nasr and 10 other Arab writers who write in Dutch, translated into English.
It was a pleasure at the start of the Tabernacle evening to hear Ramsey recite from the stage. Goldsmith said he was "one of the best poets I've heard", and noted it was his last week as poet laureate. He began with the house of europe, followed by I wish I was two citizens (then I could live together). Much of Nasr's poetry is linked to music, and his third poem was in memory of his favourite composer Dimitri Shostakovich (1906-75). Nasr said he was so obsessed by the composer that he had visited his widow. The poem he recited was allegretto from the three-poem sequence winter sonata (without piano and viola) . The allegreto poem is built around a guided tour of a garden "approved and designed by the most supreme leader of the proletarians.."
Although I had originally gone to the Tabernacle mainly out of a wish to see Nasr, I found the evening as a whole a a real eye-opener. The Dutch are renowned for their interest in, and translation of, world literatures. But I had not realised quite how much Dutch literature, fiction and non-fiction, has been translated and published in English in recent years. The translators whose names cropped up during the evening - sometimes repeatedly - included (with links to profiles by High Impact) David Colmer, Sam Garrett, Liz Waters, Ina Rilke, Nora Mahony and Stacey Knecht.
The tour was advertised as *6 AUTHORS * 6 CITIES * 6 DAYS. In But , as High Impact artistic director Rosie Goldsmith, pointed out at the Tabernacle the number of writers had been 7,with travel writer Geert Mak joining as a special guest. The other writers, in addition to Ramsey Nasr, were non-fiction literary reportage writer Lieude Joris; comedian, satirist, actor and novelist Herman Koch; novelist Peter Terrin; short story writer and novelist Chika Unigwe, and illustrator and graphic novelist Judith Vanistendael. The tour was blogged on the High Impact website by Michele Hutchison.
Three prominent UK-based writers who have based famous novels on Dutch themes took part in the Tabernacle evening as Gala Guests - David Mitchell, Deborah Moggach and Tracey Chevalier. They read extracts from their novels, respectively The Thousand Autumns of Jacob de Zoet, Tulip Fever and Girl with a Pearl Earring which was made into an award-winning film (reviewed here by Will Self) starring Scarlett Johnansson and Colin Firth). The three novels are historical. Two are set in the Golden Age of Dutch painting. Tulip Fever was inspired by a 17th century Dutch painting bought by Moggach, and Girl with a Pearl Earring weaves a narrative around of the Vermeer painting of that era. Mitchell's prizewinning novel opens at the end of the 18th century in the Dutch East India Company trading post of Dejima in Nagasaki, Japan. Mitchell gave a rollicking read in the voice of his drunken narrator.
Deborah Moggach
The evening was punctuated by high-spirited performances by a duo of celebrated Low Countries musicians - jazz trumpeter Eric Vloeimans from the Netherlands and accordionist Tuur Floorizone from Flanders. Beer in distinctively shaped bottles was supplied freely to audience members courtesy of Flemish brewery Duvel, a supporting partner of the tour.
Rosie Goldsmith
Goldsmith, the dynamic compere of the evening, said the tour was the first of its kind. It was instigated and funded by the Embassy of the Netherlands and Flanders House in London. The Dutch Foundation for Literature in Amsterdam and the Flemish Literature Fund in Antwerp were also instrumental in getting the tour on the road.
Inserted here: records of molecules.
-- begin --
# 1
{"formula": "C2H11N2O2", "method": "the ωB97M-V functional and the def2-TZVPD basis", "relative_energy_kcal_mol": 49.3, "e_homo_ev": -13.062, "charge": 1, "e_lumo_ha": -0.1344, "energy_ha": -342.50994, "elements": ["O", "O", "N", "N", "C", "C", "H", "H", "H", "H", "H", "H", "H", "H", "H", "H", "H"], "coordinates": [[2.03089, -2.67766, -1.26558], [0.80988, 3.74931, 1.06343], [-0.68835, -1.69991, -0.00814], [-0.80645, 1.26718, -0.53029], [-1.26388, 0.65567, 0.60515], [-1.00778, -0.61794, 0.95503], [-1.50935, -2.25529, -0.25783], [1.57002, 4.21535, 1.42392], [0.02645, -2.32918, 0.37049], [-1.20016, -1.04379, 1.93800], [-1.68211, 1.39850, 1.27365], [2.62198, -3.42476, -1.50139], [0.80155, 4.14243, 0.18039], [-0.28020, -1.30827, -0.85760], [1.27528, -3.00197, -1.79889], [-0.45816, 2.21049, -0.43234], [-0.23961, 0.71983, -1.15801]], "forces_ev_per_angstrom": [[-0.720, -1.400, -0.887], [0.121, 0.215, -0.655], [0.738, 0.666, -0.035], [-0.431, -0.448, -0.530], [1.853, 0.452, -0.394], [-1.395, -0.528, 1.019], [-0.048, 0.096, 0.002], [0.103, -0.149, 0.541], [0.056, 0.008, -0.021], [-0.320, 0.359, -0.350], [0.041, -0.538, 0.546], [0.262, 0.775, 0.605], [-0.273, -0.045, -0.002], [-0.019, -0.198, -0.128], [0.264, 0.566, 0.228], [-0.312, -0.059, 0.134], [0.079, 0.229, -0.072]]}

# 2
{"formula": "C3H8NO3S2", "method": "the ωB97M-V functional and the def2-TZVPD basis", "relative_energy_kcal_mol": 59.3, "e_homo_ev": -4.283, "charge": -1, "e_lumo_ha": 0.1291, "energy_ha": -1195.95484, "elements": ["S", "S", "O", "O", "O", "N", "C", "C", "C", "H", "H", "H", "H", "H", "H", "H", "H"], "coordinates": [[-2.05992, 0.15690, 0.41271], [1.20727, -0.18257, 1.58632], [-2.25578, 1.58441, 0.17234], [-1.68519, -0.04807, 1.93815], [-3.21059, -0.67124, 0.16638], [-0.84767, -0.40955, -0.54037], [1.03702, 0.22786, -0.03555], [1.01599, 1.74834, -0.31607], [-0.72796, -1.77776, -0.73236], [1.65756, -0.41751, -0.55955], [-0.31532, -2.46346, 0.10153], [0.70036, 2.19821, 0.64016], [-0.69369, -0.20396, 1.87931], [-1.68548, -2.15912, -1.19582], [2.03006, 2.04115, -0.55852], [-0.01950, -1.90201, -1.58560], [0.33857, 1.91914, -1.10401]], "forces_ev_per_angstrom": [[-0.752, 0.716, -1.436], [0.903, -0.645, 1.642], [0.795, -1.321, 0.370], [-0.012, -0.122, -0.862], [-0.208, -0.158, 0.170], [1.443, 3.237, 1.340], [-2.466, 1.894, 1.336], [0.170, -1.828, 1.199], [0.025, -3.000, -1.408], [0.405, -0.994, -2.112], [-0.868, 1.138, -0.787], [0.041, 0.121, -0.695], [0.427, 0.196, 0.794], [0.748, -0.103, 1.007], [0.216, 0.241, -0.110], [-0.120, -0.021, 0.538], [-0.747, 0.649, -0.985]]}

# 3
-- stop --
Here the article continues.
accordionist Tuur Floorizone and jazz trumpueter Eric Vloeimans
The theme of the evening was loosely a Golden Age - whether of the past, or of a present Golden Age of Dutch writing. Geert Mak read from his book on Istanbul, The Bridge: A Journey Between Orient and Occident (Harvill Secker, 2008) translated by Sam Garrett. The Bridge is one of four books by Mak to have been published by Harvill Secker since 2008. He is a bestselling author with In Europe having sold more than half a million copies. It was adapted into a 35-part TV series and has been translated into 14 languages.
Herman Koch read from his novel Summerhouse with Swimming Pool, forthcoming from Atlantic Books. There was much black humour in the doctor main character's thoughts as he examines a patient. Koch's novel The Dinner (Atlantic Books, 2012) translated by Sam Garrett was a major international success.
Novelist Peter Terrin writes, according to the High Impact programme, "studies of existential angst written with chilling precision". He read from The Guard (MacLehose Press, 2012), translated by David Colmer, which won the EU Prize for Literature. MacLehose, the Quercus imprint now celebrating its fifth anniversary, will also publish the translation of Terrin's novel Post Mortem. The novel won the 2012 AKO Literatuurprijs, worth 50,000 Euros.
Lieude Joris
Lieude Joris (interviewed here by High Impact) has established herself in the past two decades as an outstanding writer of works combining travel, journalism and fiction, for which she has won several major prizes. She read from the preface of her third book on Congo, The Rebels' Hour (Atlantic Books, 2008) translated by Liz Waters. This is her third book on Congo, which she first visited in 1985.
Herman Koch read from his novel Summerhouse with Swimming Pool, forthcoming from Atlantic Books. There was much black humour in the doctor main character's thoughts as he examines a patient. Koch's novel The Dinner (Atlantic Books, 2012) translated by Sam Garrett was a major international success.
Novelist Peter Terrin writes, according to the High Impact programme, "studies of existential angst written with chilling precision". He read from The Guard (MacLehose Press, 2012), translated by David Colmer, which won the EU Prize for Literature. MacLehose, the Quercus imprint now celebrating its fifth anniversary, will also publish the translation of Terrin's novel Post Mortem. The novel won the 2012 AKO Literatuurprijs, worth 50,000 Euros.
Judith Vanistendael talks about her graphic novels
Judith Vanistendael is an acclaimed Brussels-based graphic novelist (she has been dubbed a "Belgian Posy Simmonds"). She screened pages from her first graphic novel Dance by the Light of the Moon (published by SelfMadeHero in 2010) translated by Ina Rilke. This love story is based on her relationship with a political refugee from Togo. She wrote it in response to an autobiographical story on the same subject by her famous writer father Geert Van Istendael. Vanistendael also showed extracts from her graphic novel on cancer When David Lost his Voice published last year by SelfMadeHero in Nora Mahony's translation. Rachel Cooke writing in the Guardian described the book as "amazing...surprisingly tough".
Chika Unigwe
The Nigerian writer Chika Unigwe who lives in Belgium and writes in English and Dutch won the BBC Short Story Award in 2003 and the Commonwealth Short Story Award in 2004 and was shortlisted for the Caine Prize for African Writing in 2004. Her novels are The Phoenix (2005), On Black Sisters' Street (Jonathan Cape, 2009) and Night Dancer published by Jonathan Cape in 2012, having been published in Dutch as Nachtdanser in 2011. At the Tabernacle she read some of her new work. Unigwe gives a voice to those immigrants to Belgium whom "you don't hear about because they are not terrorists or footballers." On Black Sisters' Street focuses on the lives of African sex workers in Brussels.
report and pictures by Susannah Tarbush